My children — 12-year-old Lou, 10-year-old Paul and 7-year-old Jules — are my life. Lou and Jules were born with an extremely rare genetic disorder known as DADA2 (deficiency of adenosine deaminase 2). The odds of them both having it are astronomically slim: there are only 650 cases in the world.
Paul may have been luckier in the genetic lottery, but he has made sacrifices too, and they have taken their toll. My heart aches when I think that he couldn’t see either one of his siblings for over three months after their bone marrow transplants. There was too much of a risk of him passing along something infectious.
What our family has gone through has kept us apart from other people and turned our lives upside down.
We were extremely fortunate to have been able to count on the multidisciplinary teams at Sainte-Justine for support. They put their expertise to work to identify the cause and to ensure Lou and Jules were treated with care and compassion every step of the way.
It all started when Lou, then three years old, had a stroke while she was at daycare. She was sent to Sainte-Justine for an MRI. The results showed a brain injury, but the exact cause remained unknown. Luckily, there were no longer-term effects.
But in the years that followed, she started exhibiting all sorts of odd symptoms: she would lose clumps of hair, she had pains in her legs, and her skin would break out into patches of eczema. She developed Raynaud syndrome, which made her sensitive to cold. We were all very worried, but none of the specialists we consulted could figure out what was going on.
Then it was Jules’s turn. He was three when we rushed him into the Sainte-Justine emergency room. He had stopped playing and was growing more and more lethargic. When the doctors got his bloodwork back, it was all hands on deck. His red cell count was dangerously low. He needed a transfusion and he needed it right away. The hunt was on to find the cause for the extreme anemia, but his case remained as mysterious as his sister’s.
It was clear that my two children were experiencing something out of the ordinary, but the teams couldn’t connect the dots in any way that made sense. When it was discovered, somewhat by chance, that Lou was also suffering from anemia, they redoubled their efforts. But still no leads.
Then one day, we were called in to see Dr. Labrosse, an immunologist at Sainte-Justine. She told us about an extremely rare genetic disorder that had just been discovered and said it might very well be to blame for everything Lou and Jules were going through. The name of the disorder was deficiency of adenosine deaminase 2, or DADA2 for short.
They had every symptom on the checklist: high risk for stroke, compromised immune system, inflammatory response, severe anemia and aplasia. Finally, we had a diagnosis! What would follow were several months of testing and back-and-forth between the specialists at Sainte-Justine and experts from around the world who had direct experience with the disease. Together, they mapped out the best way forward.
Lou and Jules became the first children at Sainte-Justine to be diagnosed with DADA2, which had been discovered only in 2014. There were a mere 650 documented cases in the world. It blew me away to know that these world-class scientists were toiling away trying to identify what the disorder was while my children were actually battling the symptoms.
I am so grateful to Sainte-Justine. Without the incredible work of all the teams, including medical experts such as Roxane Labrosse, Michel Duval, Henrique Bittencourt, Pierre Teira and Fabien Touzot, my family would not have the answers we do today.
At Sainte-Justine, donations are important in bringing research from bench to bedside. Rare disorders help advance our understanding of certain key mechanisms in medicine. When we find a treatment, it can also benefit patients with other conditions that have similar internal processes.
Lou and Jules each underwent a bone marrow transplant in the fall to get stronger. So far, it’s the only approach that offers them any hope of a treatment.
After 55 days in the hospital, we made our way back home in mid-July. A close eye will be kept on them for 18 months. They’ve been prescribed a mind-boggling array of anti-rejection drugs, and the list of precautions is a long one. Getting back to normal will take some time.
Meanwhile, we continue to look to the Sainte-Justine Tree of Lights, which stands as a symbol of hope for my three children.
## Inserted here: calculated crystals
┌──
Simulated powder XRD pattern of MgI2O6 for Cu Kα, 1.54184 Å, from a structure optimized by DFT (GGA-PBE).
Intensities are scaled so that the largest is 100.

The 10 most intense peaks (10° ≤ 2θ ≤ 80°), low angle first:
2theta	intensity
18.16	18
25.44	100
31.73	29
40.39	8
41.10	20
48.54	26
52.83	24
56.52	9
67.87	7
72.23	11

Atomic structure:
```
data_MgI2O6
_space_group_name_H-M_alt 'P 1'
_space_group_IT_number 1
_cell_length_a 5.640
_cell_length_b 5.640
_cell_length_c 5.023
_cell_angle_alpha 90.00
_cell_angle_beta 90.00
_cell_angle_gamma 120.00
loop_
_space_group_symop_operation_xyz
'x,y,z'
loop_
_atom_site_label
_atom_site_type_symbol
_atom_site_fract_x
_atom_site_fract_y
_atom_site_fract_z
Mg1 Mg 0.000 0.000 0.000
I1 I 0.333 0.667 0.590
I2 I 0.667 0.333 0.049
O1 O 0.084 0.354 0.763
O2 O 0.270 0.916 0.763
O3 O 0.349 0.253 0.224
O4 O 0.646 0.730 0.763
O5 O 0.747 0.096 0.224
O6 O 0.904 0.651 0.224
```

=====

Simulated powder XRD pattern of LiGa2Re2 for Cu Kα, 1.54184 Å, from a structure optimized by DFT (GGA-PBE).
Intensities are scaled so that the largest is 100.

The 10 most intense peaks (10° ≤ 2θ ≤ 80°), low angle first:
2theta	intensity
14.31	100
25.07	15
28.85	13
34.20	12
37.24	72
43.92	21
45.33	53
49.14	25
51.45	16
67.99	19

Atomic structure:
```
data_LiGa2Re2
_space_group_name_H-M_alt 'P 1'
_space_group_IT_number 1
_cell_length_a 3.708
_cell_length_b 3.708
_cell_length_c 12.377
_cell_angle_alpha 90.00
_cell_angle_beta 90.00
_cell_angle_gamma 90.00
loop_
_space_group_symop_operation_xyz
'x,y,z'
loop_
_atom_site_label
_atom_site_type_symbol
_atom_site_fract_x
_atom_site_fract_y
_atom_site_fract_z
Li1 Li 0.000 0.000 0.000
Li2 Li 0.500 0.500 0.500
Ga1 Ga 0.000 0.000 0.402
Ga2 Ga 0.000 0.000 0.598
Ga3 Ga 0.500 0.500 0.098
Ga4 Ga 0.500 0.500 0.902
Re1 Re 0.000 0.500 0.250
Re2 Re 0.000 0.500 0.750
Re3 Re 0.500 0.000 0.250
Re4 Re 0.500 0.000 0.750
```

=====

Simulated powder XRD pattern of CaCu2AsS4 for Cu Kα, 1.54184 Å, from a structure optimized by DFT (GGA-PBE).
Intensities are scaled so that the largest is 100.

The 10 most intense peaks (10° ≤ 2θ ≤ 80°), low angle first:
2theta	intensity
17.46	8
27.58	100
30.81	8
44.13	23
46.65	36
52.83	29
57.21	11
64.17	7
71.22	5
74.97	8

Atomic structure:
```
data_CaCu2AsS4
_space_group_name_H-M_alt 'P 1'
_space_group_IT_number 1
_cell_length_a 5.805
_cell_length_b 5.805
_cell_length_c 10.503
_cell_angle_alpha 90.00
_cell_angle_beta 90.00
_cell_angle_gamma 90.00
loop_
_space_group_symop_operation_xyz
'x,y,z'
loop_
_atom_site_label
_atom_site_type_symbol
_atom_site_fract_x
_atom_site_fract_y
_atom_site_fract_z
Ca1 Ca 0.000 0.000 0.000
Ca2 Ca 0.500 0.500 0.500
Cu1 Cu 0.000 0.500 0.250
Cu2 Cu 0.000 0.500 0.750
Cu3 Cu 0.500 0.000 0.250
Cu4 Cu 0.500 0.000 0.750
As1 As 0.000 0.000 0.500
As2 As 0.500 0.500 0.000
S1 S 0.224 0.224 0.647
S2 S 0.224 0.776 0.353
S3 S 0.276 0.276 0.147
S4 S 0.276 0.724 0.853
S5 S 0.724 0.276 0.853
S6 S 0.724 0.724 0.147
S7 S 0.776 0.224 0.353
S8 S 0.776 0.776 0.647
```
└──
## So much for the calculated crystals
For Paul, the lights let him dream of the day when his brother and sister will be able to play with him again and he can get his childhood back. For Jules and Lou, they point to medical discoveries and a brighter future ahead.
On behalf of them and our entire family, I thank you for doing your part to uphold Sainte-Justine’s tradition of excellence by making the Tree of Lights glow from top to bottom.
Emily, proud mother of Lou, Paul and Jules

*The remarks expressed in this article reflect the opinion solely of the author and should not be considered as representative of the CHU Sainte-Justine Foundation.